"This opportunity is already expired. However, you can always try to contact the employer for verification."
Opportunity ID:
Type :
Full time 
Position Level :
Skilled / Non-Executive 
Industry :
Arts/Media/Communications - Arts/Creative Design 
Job Specialization :
Designing - Web/ Graphics 
City :
Petaling Jaya 
Description :
1. Work with product specialists, usability specialists and interaction designers to develop and iterate creative user interface designs based on research and usability test results.
2. Produce final user interface designs, adhering to the style and guidance of internal standards.
3. Deliver design specification document
Requirements :
1. Bachelor Degree in Graphic / Visual Arts or equivalent.
2. At least 1 year’s working experience in software application user interface design, which experienced in at least one of these areas: web, mobile/tablet app, windows app.
3. Proficient in using Adobe Creative Suite, at least Photoshop and Illustrator.
4. Must have strong attention to detail and accuracy.
5. Good design sense in iconography, typography, colour, space, line, size, shape, texture for application user interface design will be an advantage.
6. Must be a patient person who is open enough to listen and accept criticism positively.
7. Nimble and ready to work in a fast-paced environment in a small team.
8. Portfolio of previous work done is required, if called for an interview.
Lowest Qualification :
Bachelor Degree 
Closing Date :
12/1/15, 12:00 AM 


Phone :
Address :
Level 12, Tower A, Plaza 33, Jalan Kemajuan, Section 13, 46200 Petaling Jaya, Selangor, Malaysia
City :
Petaling Jaya
**Here the entry breaks off for records of molecules:**
+++
A 2-piece molecular cluster, C9H14 overall. Source: OMol25; level of theory: ωB97M-V/def2-TZVPD.

The calculation puts the highest occupied orbital energy (alpha / beta) at 1.286 / -3.533 eV. Its total charge is -1. Its LUMO energy (alpha / beta) is 3.92 / 3.85 eV. The energy above the lowest of the compared OMol25 structures with the same formula, charge and spin is 44.06 kJ/mol. Its HOMO-LUMO gap (alpha / beta) is 2.632 / 7.385 eV. The multiplicity is 2.

Positions of all 23 atoms, in Å:
C: 2.2111 -1.9965 -0.8772
C: -0.9818 0.8802 -1.1755
C: -1.2548 -0.4578 -1.0264
C: 0.3174 1.2936 -1.2846
C: -0.2572 -1.3862 -0.9410
C: 1.3463 0.3343 -1.2192
C: 1.0893 -0.9889 -1.0434
H: -1.8194 1.6047 -1.2156
H: -2.3146 -0.7988 -0.9748
H: 0.5133 2.3395 -1.4186
H: -0.5040 -2.4307 -0.7709
H: 2.3965 0.6935 -1.3265
H: 1.8778 -2.7858 -0.2611
H: 3.0518 -1.5591 -0.3467
H: 2.5584 -2.3217 -1.8484
C: -0.5966 1.4155 2.5869
C: -1.7099 0.7329 3.3665
H: -0.4291 0.8450 1.6503
H: -0.8569 2.4448 2.3975
H: 0.3575 1.3099 3.1816
H: -1.4228 -0.2791 3.5642
H: -1.7993 1.2742 4.3099
H: -2.5928 0.7008 2.7428



A 14-piece molecular cluster, C6H41NO14 overall. Source: OMol25; level of theory: ωB97M-V/def2-TZVPD.

The calculation puts the highest occupied orbital energy at -9.848 eV. Its total charge is 0. Its LUMO energy is -0.47 eV. The energy above the lowest of the compared OMol25 structures with the same formula, charge and spin is 522.29 kJ/mol. Its HOMO-LUMO gap is 9.380 eV.

Positions of all 62 atoms, in Å:
C: 1.1626 -0.2139 -0.4321
N: 1.9747 0.9701 -0.8148
C: 1.0364 2.0523 -1.1286
O: 0.0365 2.3504 -0.2066
C: 2.0574 -1.4661 0.0002
C: 1.3873 -2.6187 0.6776
C: 2.4556 -3.4569 1.4209
C: 0.4103 -2.2546 1.7401
H: 0.3750 0.0454 0.3310
H: 0.5889 -0.5394 -1.1835
H: 2.5572 1.4151 -0.0240
H: 0.3151 1.7586 -1.9978
H: 1.7062 2.9236 -1.3020
H: 0.3944 2.7965 0.6531
H: 2.6211 -1.7962 -0.9414
H: 2.8808 -1.0870 0.7020
H: 0.9131 -3.2409 -0.1854
H: 2.2816 -3.4539 2.5455
H: 2.4880 -4.4502 0.8565
H: 3.4068 -2.8563 1.2604
H: 0.8505 -1.2812 2.0921
H: -0.6388 -1.9910 1.5307
H: 0.3442 -3.1386 2.4505
H: 0.0714 3.8414 2.9025
H: -1.1419 3.0258 2.9678
O: -0.4230 3.3133 2.3786
H: 2.4783 -2.7202 -4.3302
H: 1.4291 -3.4197 -3.6278
O: 1.6929 -3.1940 -4.5533
H: -2.9455 3.4255 1.5405
H: -1.7360 3.6213 0.6814
O: -2.7124 3.6621 0.6005
H: -0.5933 -2.4988 -3.8900
H: -0.3022 -2.2002 -5.3050
O: -0.9716 -2.0172 -4.5839
H: 4.0805 -0.4437 -3.2516
H: 3.7387 0.1150 -1.7004
O: 4.4031 -0.0198 -2.3660
H: -3.0058 1.7075 2.9949
H: -3.2702 3.0057 3.8661
O: -2.7815 2.6186 3.0660
H: -2.0371 0.1698 5.2175
H: -1.0916 1.1090 4.5868
O: -1.9262 1.1624 5.0964
H: -2.5311 -1.0344 -0.3478
H: -3.2123 -1.2195 -1.7743
O: -2.5529 -1.6601 -1.1786
H: 2.0218 0.0185 -2.8844
H: 1.1650 -0.8354 -3.9155
O: 2.0851 -0.4236 -3.7803
H: -3.5539 -0.4258 2.2745
H: -4.7148 -0.4785 3.1672
O: -3.8419 -0.1993 3.2456
H: -3.4424 1.8120 -0.0692
H: -2.0953 1.1804 0.2804
O: -3.0809 1.0204 0.3117
H: 2.1453 3.1883 2.9140
H: 1.3792 1.8723 2.9625
O: 1.8421 2.3901 2.3319
+++
**Back to the entry:**
State :
Country :


Fusionex is a multi award-winning leading international IT Group, listed on the London Stock Exchange. Fusionex operates worldwide with highly skilled professionals across Asia, Europe, and the USA. Focussing on delivering creative and innovative IT-based solutions for organizations across numerous verticals, Fusionex specializes in Analytics and Big Data solutions. Over the years, Fusionex have garnered accreditations from various international bodies, rankings from partners and international organizations, further strengthening Fusionex’s footprint as a world class solutions provider in the IT industry. Fusionex’s motto is Experience Excellence, where we remain true to our aim of becoming a world-renowned IT brand of quality and distinction. The company is committed to create value and deliver the best experience to enterprises across the globe through its innovative offerings of highly sophisticated yet user-friendly software and solutions.


Medical, Dental, Transport Allowance, Insurance, Performance Bonus